Work order >
The reader should restate only the lines further down with the word "density" in them.

Material >
'''
BaCuAg2Sb | PBE | optimized geometry

Unit cell a=5.5264 b=4.8622 c=5.5264 alpha=90.00 beta=90.00 gamma=90.00
With the nearest neighbours (Å) after each atom.
Positions (direct):
Sb  0.0000  0.0000  0.0000  2 Cu 2.43
Cu  0.0000  0.5000  0.0000  2 Sb 2.43
Ba  0.5000  0.5000  0.5000  8 Ag 3.68, 4 Cu 3.91
Ag  0.5000  0.0000  0.0000  2 Sb 2.76
Ag  0.0000  0.0000  0.5000  2 Sb 2.76

Values from the calculation:
**ΔE_f (raw)**: 0.24 eV per formula unit
**Calculated density**: 6.02 g/cm³


BaCuAgSe2 | PBE | optimized geometry

Unit cell a=5.8070 b=6.0844 c=7.7289 alpha=113.18 beta=90.00 gamma=90.00
With the nearest neighbours (Å) after each atom.
Positions (direct):
Se  0.7560  0.6278  0.2556  1 Cu 2.30
Se  0.2440  0.3722  0.7444  1 Cu 2.30
Se  0.2440  0.1278  0.2556  1 Cu 2.30
Se  0.7560  0.8722  0.7444  1 Cu 2.30
Ag  0.5000  0.2500  0.0000  4 Se 2.80, 2 Ag 3.04
Ag  0.5000  0.7500  0.0000  4 Se 2.80, 2 Ag 3.04
Cu  0.0000  0.5000  0.0000  2 Se 2.30
Cu  0.0000  0.0000  0.0000  2 Se 2.30
Ba  0.2539  0.7500  0.5000  8 Se 3.37-3.50
Ba  0.7461  0.2500  0.5000  8 Se 3.37-3.50

Values from the calculation:
**ΔE_f (raw)**: -4.17 eV per formula unit
**Calculated density**: 6.17 g/cm³


Which M_tot belongs to each record? In order, 0.00, 0.00 μB/cell.
Which final energy belongs to each record? In order, -3.12, -4.00 eV/atom.

=====

No. 1
A geometry-optimized InFe2Au structure. Source: Alexandria via LeMat-Bulk, functional PBE-GGA.

```
InFe2Au
1.0
0.0000 3.1698 3.1698
3.1698 0.0000 3.1698
3.1698 3.1698 0.0000
In Fe Au
1 2 1
Direct
0.0000 0.0000 0.0000
0.5000 0.5000 0.5000
0.7500 0.7500 0.7500
0.2500 0.2500 0.2500
```

Properties
The magnetization is 5.39 μB per cell. The calculated formation energy is 0.199 eV/atom.

No. 2
A geometry-optimized HfTcAs2 structure. Source: Alexandria via LeMat-Bulk, functional PBE-GGA.

```
HfTcAs2
1.0
1.9628 1.1332 5.3515
-1.9628 1.1332 5.3515
0.0000 -2.2664 5.3515
Hf Tc As
1 1 2
Direct
0.0000 0.0000 0.0000
0.5000 0.5000 0.5000
0.2394 0.2394 0.2394
0.7606 0.7606 0.7606
```

Properties
The magnetization is 0.00 μB per cell. The energy relative to the lowest polymorph listed for this composition comes out at 3 meV per atom. The calculated formation energy is -0.321 eV/atom.

No. 3
A geometry-optimized Sm3HoMg structure. Source: Alexandria via LeMat-Bulk, functional PBE-GGA.

```
Sm3HoMg
1.0
3.8000 0.0000 0.0000
0.0000 10.5636 0.0000
0.0000 0.0000 8.1675
Sm Ho Mg
6 2 2
Direct
0.2500 0.0030 0.2349
0.2500 0.4970 0.2349
0.2500 0.7500 0.5566
0.7500 0.2500 0.4434
0.7500 0.5030 0.7651
0.7500 0.9970 0.7651
0.2500 0.7500 0.9438
0.7500 0.2500 0.0562
0.2500 0.2500 0.7546
0.7500 0.7500 0.2454
```

Properties
The magnetization is 0.00 μB per cell. The energy relative to the lowest polymorph listed for this composition comes out at 71 meV per atom. The calculated formation energy is 0.125 eV/atom.

No. 4
A geometry-optimized RuPt4 structure. Source: Alexandria via LeMat-Bulk, functional PBE-GGA.

```
RuPt4
1.0
1.3946 0.8052 11.3683
-1.3946 0.8052 11.3683
0.0000 -1.6103 11.3683
Ru Pt
1 4
Direct
0.0000 0.0000 0.0000
0.2010 0.2010 0.2010
0.3971 0.3971 0.3971
0.6029 0.6029 0.6029
0.7990 0.7990 0.7990
```

Properties
The magnetization is 0.00 μB per cell. The energy relative to the lowest polymorph listed for this composition comes out at 2 meV per atom. The calculated formation energy is 0.000 eV/atom.

For each record above, in turn, the calculated E_tot values are -5.536 -7.726 -3.941 -6.688 eV/atom.
'''

Solution >
**Calculated density**: 6.02 g/cm³
**Calculated density**: 6.17 g/cm³